Page 29 of Slave to Love

His eyes darkened, the tension in him so palpable that Roberta thought she could actually taste it. Then he lowered his dark gaze from her, thick lashes sweeping the passion out of his eyes as he said flatly, ‘Yes. Of course I’ll come. I’ll catch the next flight out of here.’

And she turned away and walked out of the room.

Three days? she was thinking bitterly. He couldn’t even give me one! Going over to the courtesy bar, she picked up a miniature bottle of French brandy, poured it into a glass, and swallowed it down in one fiery go.

‘I’m sorry.’ His voice came, quiet and protracted, from the bedroom doorway. Roberta turned to look at him. He was dressed again, looking as if he had never been out of those clothes tonight.

She turned away, the bitterness welling up inside her, too poisonous to give vent to.

‘For goodness’ sake, Roberta!’ he rasped out harshly. ‘I have no damned choice!’


‘Choice? We all have choices, Mac,’ she said flatly. ‘And you’ve just made yours.’

‘And that’s it?’ he bit out. ‘Because you can’t have all of me you want nothing at all? Doesn’t that make you greedy, Roberta? Damned bloody selfish in fact?’

Did it? She supposed it did. ‘In other words, unless I’m prepared to do all the compromising, I’m being selfish. Is that what you’re saying?’

‘No,’ he sighed out heavily. ‘I’m saying that the commitments that half rule my life are my problem to deal with as best as I can. But your insecurities about our relationship are your problem, sweetheart, to deal with the best you can.’

‘My “insecurities”, as you call them,’ she flared up in derision, ‘lie mostly in the fact that you still continue to deny my existence! Have you any idea how cheap and insignificant that makes me feel?’

Angry mockery scored across his face. ‘So you would rather I told my distressed daughter to call back when I’m finished making love to you, would you?’ he threw back scathingly.

The entry is interrupted by data records:
This entry pairs a crystal structure of La6CoSn2Ru with its computed X-ray powder pattern. Radiation: Cu Kα (λ = 1.5418 Å). Structure: DFT lattice parameters and positions (GGA-PBE).

Principal peaks in the range 5 to 70 degrees two-theta, sorted by position:
d 3.102, 28.78°, I = 100
d 2.698, 33.21°, I = 32
d 2.689, 33.32°, I = 32
d 2.674, 33.52°, I = 31
d 1.904, 47.76°, I = 23
d 1.897, 47.94°, I = 46
d 1.625, 56.64°, I = 15
d 1.621, 56.79°, I = 15
d 1.614, 57.05°, I = 15
d 1.551, 59.60°, I = 24

Cell and atoms:
```
data_La6CoSn2Ru
_chemical_formula_sum 'La24 Co4 Sn8 Ru4'
_cell_length_a 10.6944
_cell_length_b 10.7564
_cell_length_c 10.7905
_cell_angle_alpha 90.00
_cell_angle_beta 90.00
_cell_angle_gamma 90.00
_space_group_name_H-M_alt 'F m m m'
_space_group_IT_number 69
_space_group_name_Hall '-F 2 2'
loop_
_atom_site_label
_atom_site_type_symbol
_atom_site_fract_x
_atom_site_fract_y
_atom_site_fract_z
La1 La 0.0000 0.0000 0.2481
La2 La 0.0000 0.2470 0.0000
La3 La 0.2446 0.0000 0.0000
Co1 Co 0.0000 0.0000 0.0000
Sn1 Sn 0.2500 0.2500 0.2500
Ru1 Ru 0.0000 0.0000 0.5000
```

This entry pairs a crystal structure of K2LiInAs2 with its computed X-ray powder pattern. Radiation: Cu Kα (λ = 1.5418 Å). Structure: DFT lattice parameters and positions (GGA-PBE).

Principal peaks in the range 5 to 70 degrees two-theta, sorted by position:
d 7.886, 11.22°, I = 100
d 5.420, 16.35°, I = 74
d 3.957, 22.47°, I = 36
d 3.887, 22.88°, I = 34
d 3.505, 25.41°, I = 30
d 2.986, 29.93°, I = 99
d 2.507, 35.81°, I = 62
d 2.494, 36.00°, I = 61
d 2.287, 39.39°, I = 80
d 1.811, 50.40°, I = 39

Cell and atoms:
```
data_K2LiInAs2
_chemical_formula_sum 'K16 Li8 In8 As16'
_cell_length_a 12.9957
_cell_length_b 15.7723
_cell_length_c 6.4416
_cell_angle_alpha 90.00
_cell_angle_beta 90.00
_cell_angle_gamma 90.00
_space_group_name_H-M_alt 'C m c e'
_space_group_IT_number 64
_space_group_name_Hall '-C 2ac 2'
loop_
_atom_site_label
_atom_site_type_symbol
_atom_site_fract_x
_atom_site_fract_y
_atom_site_fract_z
K1 K 0.0000 0.1728 0.2262
K2 K 0.2500 0.1759 0.7500
Li1 Li 0.1196 0.0000 0.0000
In1 In 0.1319 0.0000 0.5000
As1 As 0.0000 0.0979 0.7318
As2 As 0.2500 0.1011 0.2500
```

This entry pairs a crystal structure of Ag3H4Pd4 with its computed X-ray powder pattern. Radiation: Cu Kα (λ = 1.5418 Å). Structure: DFT lattice parameters and positions (GGA-PBE).

Principal peaks in the range 5 to 70 degrees two-theta, sorted by position:
d 8.205, 10.78°, I = 46
d 2.496, 35.98°, I = 52
d 2.426, 37.06°, I = 58
d 2.342, 38.44°, I = 15
d 2.316, 38.89°, I = 100
d 2.166, 41.71°, I = 39
d 2.157, 41.88°, I = 38
d 2.088, 43.33°, I = 13
d 1.906, 47.71°, I = 23
d 1.458, 63.86°, I = 12

Cell and atoms:
```
data_Ag3H4Pd4
_chemical_formula_sum 'Ag3 H4 Pd4'
_cell_length_a 2.9152
_cell_length_b 6.1612
_cell_length_c 8.3461
_cell_angle_alpha 84.00
_cell_angle_beta 80.17
_cell_angle_gamma 76.38
_space_group_name_H-M_alt 'P -1'
_space_group_IT_number 2
loop_
_space_group_symop_operation_xyz
'x,y,z'
'-x,-y,-z'

‘You had finished,’ she reminded him. ‘Then the phone started ringing, and you were back to denying I was even with you once again.’

‘Oh, God,’ he sighed, scoring a weary hand through his hair. ‘I can’t fight you on this one just now, Roberta. I have to go. Which doesn’t mean I want to go!’ he thrust out tightly at her bitter look. ‘Only that I have to go! You have my complete loyalty in every way that is important to us, but I cannot pretend I have no family commitments just to ease your possessive streak. They’re there. I have to deal with them. I can’t offer you any more reassurance than that!’

And wasn’t that right—how it should be? She censured her own resentfulness. Wouldn’t she actually feel ashamed of him if he chose the other way? Of course his family had to come first. They were family! Flesh of his flesh! Just because her own family didn’t have a nurturing gene between them, it did not mean she had the right to begrudge those who did!

‘Then take me with you!’ she pleaded impulsively, her face unknowingly vulnerable as she stared at him across the full width of the room. ‘If you don’t want to leave me, then take me with you! For goodness’ sake, Mac!’ she cried, when she saw the angry refusal already forming in his eyes. ‘Give me something other than your body that says it’s worth carrying this relationship on!’

He knew she meant it, too. There was a new light burning in her eyes that warned him that this time—this time she would not let him seduce her out of her resolve. It was up to him now to decide whether he was prepared to offer her more of himself than he had been doing or, more importantly perhaps, if he cared enough about her to offer her more.

‘My God,’ he sighed, flashing her a hard, impatient look, then, ‘All right!’ he surrendered. ‘You can come!’

Her heart leapt, her chest expanding on a swell of triumph. ‘Thank you,’ she whispered shakily.

‘Don’t thank me, Roberta,’ Mac answered grimly. ‘I am doing this under protest, as you well know. You want more from me. You’re getting more from me. But it’s going to cause problems that I could well do without right now.’

He meant his family, and her leaping heart sank when she realised how much he resented her pushing him into a corner like this. But it was now or never, she reminded herself grimly. He might be right, and her timing was lousy, but would there ever be a right time for her to make a stand? Her experience to date said no, never—not while his family demanded more from him than possibly was fair.

Her chin came up, determination glowing in her green eyes to hold on to this bit of new ground she had won for herself, whether he liked it or not.

‘And the Brunner deal?’ she asked as calmly as she could. ‘What do you want me to do about that, now we are both leaving Zurich?’

Mac paused as he was about to throw open the door, and she sensed a sudden tension in him before he turned back to glance at the file. ‘Pack that,’ he commanded. ‘Joel won’t be free to come here for a few more days so he can bring it back with him when he does.’

‘And the calls?’ she asked. ‘Do you still want me to put through those calls to Brunner?’

‘No.’ He turned away again. ‘Forget them. Forget the whole damned thing for now,’ he decided impatiently. ‘I’m going to find out the times of the London flights,’ he said, then paused again, his gaze fixed on the still unopened door. ‘Is this enough of the more you’ve been demanding from me?’ he asked huskily.

Her chin came up, ‘No,’ she answered bravely. ‘But it’s a start.’

‘As I said,’ he sighed, ‘you’re a greedy woman, Roberta.’

‘But still your woman,’ she countered. ‘As you like to claim.’